• Exercise:
Search the listing below for the word "this" and quote each line that has it.
• Given:
-- begin --
# 1
Below is LaPm2AlO after structural relaxation, with properties calculated at the PBE-GGA level.

POSCAR file:
```
LaPm2AlO
1.0
4.914 0.000 0.000
0.000 4.914 0.000
0.000 0.000 4.992
La Pm Al O
1 2 1 1
Cartesian
0.000 0.000 0.000 La
0.000 2.457 2.496 Pm
2.457 0.000 2.496 Pm
2.457 2.457 0.000 Al
0.000 0.000 2.496 O
```

Properties
ΔE_f (raw) = -1332 meV/atom
symmetry = P4/mmm (123)

# 2
Below is K2AcSiS4 after structural relaxation, with properties calculated at the PBE-GGA level.

POSCAR file:
```
K2AcSiS4
1.0
7.798 0.000 0.000
0.000 7.798 0.000
0.000 0.000 8.241
K Ac Si S
4 2 2 8
Cartesian
0.000 0.000 0.000 K
0.000 3.899 2.060 K
3.899 0.000 6.180 K
3.899 3.899 4.120 K
0.000 0.000 4.120 Ac
3.899 3.899 0.000 Ac
0.000 3.899 6.180 Si
3.899 0.000 2.060 Si
1.163 2.576 4.944 S
1.323 5.062 7.417 S
2.576 6.635 3.297 S
2.736 1.323 0.823 S
5.062 6.475 0.823 S
5.222 1.163 3.297 S
6.475 2.736 7.417 S
6.635 5.222 4.944 S
```

Properties
ΔE_f (raw) = -1135 meV/atom
symmetry = I-4 (82)

# 3
Below is AlAg2Rh after structural relaxation, with properties calculated at the PBE-GGA level.

POSCAR file:
```
AlAg2Rh
1.0
3.833 0.000 0.000
0.000 3.833 0.000
0.000 0.000 4.305
Al Ag Rh
1 2 1
Cartesian
0.000 0.000 0.000 Al
0.000 1.917 2.152 Ag
1.917 0.000 2.152 Ag
1.917 1.917 0.000 Rh
```

Properties
formation enthalpy at 0 K = -226 meV per atom
symmetry = P4/mmm (123)

# 4
Below is SrCoPt2 after structural relaxation, with properties calculated at the PBE-GGA level.

POSCAR file:
```
SrCoPt2
1.0
3.679 0.000 0.000
0.000 4.581 0.000
0.000 0.000 9.002
Sr Co Pt
2 2 4
Cartesian
0.000 0.000 0.000 Sr
1.840 2.290 4.501 Sr
0.000 2.290 2.040 Co
1.840 0.000 6.541 Co
0.000 0.000 4.769 Pt
0.000 2.290 6.990 Pt
1.840 0.000 2.489 Pt
1.840 2.290 0.268 Pt
```

Properties
formation enthalpy at 0 K = 56 meV per atom
symmetry = Imm2 (44)

# 5
Below is TmHgPd6 after structural relaxation, with properties calculated at the PBE-GGA level.

POSCAR file:
```
TmHgPd6
1.0
8.345 0.000 0.000
0.000 5.380 0.000
-2.089 0.000 6.903
Tm Hg Pd
2 2 12
Cartesian
0.000 0.000 0.000 Tm
4.173 2.690 0.000 Tm
-1.045 2.690 3.451 Hg
3.128 0.000 3.451 Hg
0.250 0.000 3.012 Pd
0.041 1.300 5.539 Pd
0.041 4.080 5.539 Pd
2.043 1.390 1.363 Pd
2.043 3.990 1.363 Pd
1.833 2.690 3.891 Pd
4.423 2.690 3.012 Pd
4.213 1.390 5.539 Pd
4.213 3.990 5.539 Pd
6.215 1.300 1.363 Pd
6.215 4.080 1.363 Pd
6.006 0.000 3.891 Pd
```

Properties
energy above the lowest structure with this stoichiometry = 296.2 meV per atom
formation enthalpy at 0 K = -219 meV per atom
symmetry = C2/m (12)

# 6
Below is Re2PtAu after structural relaxation, with properties calculated at the PBE-GGA level.

POSCAR file:
```
Re2PtAu
1.0
2.794 0.000 0.000
-1.397 2.420 0.000
0.000 0.000 27.841
Re Pt Au
6 3 3
Cartesian
0.000 0.000 6.876 Re
0.000 0.000 20.965 Re
0.000 1.613 11.685 Re
0.000 1.613 25.436 Re
1.397 0.807 2.405 Re
1.397 0.807 16.156 Re
0.000 0.000 13.920 Pt
0.000 1.613 4.640 Pt
1.397 0.807 23.201 Pt
0.000 0.000 0.000 Au
0.000 1.613 18.561 Au
1.397 0.807 9.280 Au
```

Properties
energy above the lowest structure with this stoichiometry = 216.8 meV per atom
formation enthalpy at 0 K = 289 meV per atom
symmetry = R-3m (166)

# 7
Below is Zr2PbBr after structural relaxation, with properties calculated at the PBE-GGA level.

POSCAR file:
```
Zr2PbBr
1.0
4.456 0.000 0.000
0.000 4.456 0.000
0.000 0.000 20.757
Zr Pb Br
8 4 4
Cartesian
1.098 1.114 2.595 Zr
1.114 3.326 7.784 Zr
1.114 3.358 18.162 Zr
1.130 1.114 12.973 Zr
3.326 3.342 12.973 Zr
3.342 1.098 18.162 Zr
3.342 1.130 7.784 Zr
3.358 3.342 2.595 Zr
0.000 0.000 0.000 Pb
0.000 2.228 5.189 Pb
2.228 0.000 15.567 Pb
2.228 2.228 10.378 Pb
0.000 0.000 10.378 Br
0.000 2.228 15.567 Br
2.228 0.000 5.189 Br
2.228 2.228 0.000 Br
```

Properties
ΔE_f (raw) = 240 meV/atom
symmetry = I-42d (122)

# 8
Below is RbCa2CdNi after structural relaxation, with properties calculated at the PBE-GGA level.

POSCAR file:
```
RbCa2CdNi
1.0
5.552 0.000 0.000
0.000 5.552 0.000
0.000 0.000 5.358
Rb Ca Cd Ni
1 2 1 1
-- stop --
• Done:
energy above the lowest structure with this stoichiometry = 296.2 meV per atom
energy above the lowest structure with this stoichiometry = 216.8 meV per atom